Entries:
- - -
Density functional theory data (PBE) for crystalline KTlBr at its relaxed geometry.

Output
**Formation energy (no corrections)**: -0.7636 eV/atom
**Energy relative to the lowest polymorph listed for this composition**: 57 meV/atom
**Magnetization**: 0.0 μB/f.u.

a = 4.3338 Å, b = 4.3761 Å, c = 13.7733 Å
α = 90.00°, β = 90.00°, γ = 90.00°
Last column: nearest neighbours and their distance in Å.
Positions (direct):
K 0.0000 0.0000 0.0000  4 Br 3.16
K 0.5000 0.5000 0.5000  4 Br 3.16
Tl 0.0000 0.0000 0.3142  1 Br 3.26
Tl 0.5000 0.5000 0.8142  1 Br 3.26
Br 0.0000 0.0000 0.5506  4 K 3.16, 1 Tl 3.26
Br 0.5000 0.5000 0.0506  4 K 3.16, 1 Tl 3.26

---

Density functional theory data (PBE) for crystalline K4Tl3Br8 at its relaxed geometry.

Output
**Formation energy (no corrections)**: -1.2467 eV/atom
**Magnetization**: 0.0 μB/f.u.

a = 9.2581 Å, b = 9.2581 Å, c = 9.2507 Å
α = 119.16°, β = 119.16°, γ = 90.76°
Last column: nearest neighbours and their distance in Å.
Positions (direct):
K 0.0000 0.0000 0.0000  6 Br 3.29-3.36
K 0.0000 0.5000 0.0000  6 Br 3.25-3.33
K 0.5000 0.0000 0.0000  6 Br 3.25-3.33
K 0.5000 0.5000 0.5000  6 Br 3.24-3.27
Tl 0.0000 0.5000 0.5000  6 Br 3.25-3.33
Tl 0.5000 0.0000 0.5000  6 Br 3.25-3.33
Tl 0.5000 0.5000 0.0000  6 Br 3.19-3.30
Br 0.2497 0.7503 0.0000  3 K 3.25-3.29, 3 Tl 3.30-3.33
Br 0.2512 0.2512 0.5046  2 K 3.26-3.36, 3 Tl 3.30
Br 0.2519 0.7481 0.5000  2 Tl 3.25, 3 K 3.27-3.33
Br 0.2621 0.2621 0.0140  1 Tl 3.19, 4 K 3.24-3.32
Br 0.7379 0.7379 0.9860  1 Tl 3.19, 4 K 3.24-3.32
Br 0.7481 0.2519 0.5000  2 Tl 3.25, 3 K 3.27-3.33
Br 0.7488 0.7488 0.4954  2 K 3.26-3.36, 3 Tl 3.30
Br 0.7503 0.2497 0.0000  3 K 3.25-3.29, 3 Tl 3.30-3.33

---

Density functional theory data (PBE) for crystalline KTl2Br4 at its relaxed geometry.

Output
**Formation energy (no corrections)**: -0.8004 eV/atom
**Energy relative to the lowest polymorph listed for this composition**: 163 meV/atom
**Magnetization**: 0.0 μB/f.u.

a = 6.2344 Å, b = 6.2344 Å, c = 15.1623 Å
α = 90.00°, β = 90.00°, γ = 90.00°
Last column: nearest neighbours and their distance in Å.
Positions (direct):
K 0.0000 0.0000 0.0000  6 Br 3.12-3.25
K 0.5000 0.5000 0.5000  6 Br 3.12-3.25
Tl 0.0000 0.0000 0.3948  1 Br 2.73
Tl 0.0000 0.0000 0.6052  1 Br 2.73
Tl 0.5000 0.5000 0.1052  1 Br 2.73
Tl 0.5000 0.5000 0.8948  1 Br 2.73
Br 0.0000 0.0000 0.2145  1 Tl 2.73
Br 0.0000 0.0000 0.7855  1 Tl 2.73
Br 0.0000 0.5000 0.0000  2 K 3.12
Br 0.0000 0.5000 0.5000  2 K 3.12
Br 0.5000 0.0000 0.0000  2 K 3.12
Br 0.5000 0.0000 0.5000  2 K 3.12
Br 0.5000 0.5000 0.2855  1 Tl 2.73
Br 0.5000 0.5000 0.7145  1 Tl 2.73

---

Density functional theory data (PBE) for crystalline KTlBr2 at its relaxed geometry.

Output
**Formation energy (no corrections)**: -1.2809 eV/atom
**Energy relative to the lowest polymorph listed for this composition**: 31 meV/atom
**Magnetization**: 0.0 μB/f.u.

a = 4.6370 Å, b = 4.6370 Å, c = 24.5600 Å
α = 90.00°, β = 90.00°, γ = 120.00°
Last column: nearest neighbours and their distance in Å.
Positions (direct):
K 0.0000 0.0000 0.0000  6 Br 3.35-3.37
K 0.3333 0.6667 0.6667  6 Br 3.35-3.37
K 0.6667 0.3333 0.3333  6 Br 3.35-3.37
Tl 0.0000 0.0000 0.8319  6 Br 3.37-3.39
Tl 0.3333 0.6667 0.4986  6 Br 3.37-3.39
Tl 0.6667 0.3333 0.1652  6 Br 3.37-3.39
Br 0.0000 0.0000 0.2497  3 K 3.37, 3 Tl 3.39
Br 0.0000 0.0000 0.4151  3 K 3.35, 3 Tl 3.37
Br 0.3333 0.6667 0.0818  3 K 3.35, 3 Tl 3.37
Br 0.3333 0.6667 0.9164  3 K 3.37, 3 Tl 3.39
Br 0.6667 0.3333 0.5831  3 K 3.37, 3 Tl 3.39
Br 0.6667 0.3333 0.7485  3 K 3.35, 3 Tl 3.37

---

Density functional theory data (PBE) for crystalline KTl2Br4 at its relaxed geometry.

Output
**Formation energy (no corrections)**: -0.8931 eV/atom
**Energy relative to the lowest polymorph listed for this composition**: 71 meV/atom
**Magnetization**: 0.0 μB/f.u.

a = 7.8973 Å, b = 7.8973 Å, c = 5.3245 Å
α = 90.00°, β = 90.00°, γ = 90.00°
Last column: nearest neighbours and their distance in Å.
Positions (direct):
K 0.0000 0.0000 0.0000  4 Br 3.19
- - -

Wanted:
Your job: quote everything above without altering anything.

Response:
Density functional theory data (PBE) for crystalline KTlBr at its relaxed geometry.

Output
**Formation energy (no corrections)**: -0.7636 eV/atom
**Energy relative to the lowest polymorph listed for this composition**: 57 meV/atom
**Magnetization**: 0.0 μB/f.u.

a = 4.3338 Å, b = 4.3761 Å, c = 13.7733 Å
α = 90.00°, β = 90.00°, γ = 90.00°
Last column: nearest neighbours and their distance in Å.
Positions (direct):
K 0.0000 0.0000 0.0000  4 Br 3.16
K 0.5000 0.5000 0.5000  4 Br 3.16
Tl 0.0000 0.0000 0.3142  1 Br 3.26
Tl 0.5000 0.5000 0.8142  1 Br 3.26
Br 0.0000 0.0000 0.5506  4 K 3.16, 1 Tl 3.26
Br 0.5000 0.5000 0.0506  4 K 3.16, 1 Tl 3.26

---

Density functional theory data (PBE) for crystalline K4Tl3Br8 at its relaxed geometry.

Output
**Formation energy (no corrections)**: -1.2467 eV/atom
**Magnetization**: 0.0 μB/f.u.

a = 9.2581 Å, b = 9.2581 Å, c = 9.2507 Å
α = 119.16°, β = 119.16°, γ = 90.76°
Last column: nearest neighbours and their distance in Å.
Positions (direct):
K 0.0000 0.0000 0.0000  6 Br 3.29-3.36
K 0.0000 0.5000 0.0000  6 Br 3.25-3.33
K 0.5000 0.0000 0.0000  6 Br 3.25-3.33
K 0.5000 0.5000 0.5000  6 Br 3.24-3.27
Tl 0.0000 0.5000 0.5000  6 Br 3.25-3.33
Tl 0.5000 0.0000 0.5000  6 Br 3.25-3.33
Tl 0.5000 0.5000 0.0000  6 Br 3.19-3.30
Br 0.2497 0.7503 0.0000  3 K 3.25-3.29, 3 Tl 3.30-3.33
Br 0.2512 0.2512 0.5046  2 K 3.26-3.36, 3 Tl 3.30
Br 0.2519 0.7481 0.5000  2 Tl 3.25, 3 K 3.27-3.33
Br 0.2621 0.2621 0.0140  1 Tl 3.19, 4 K 3.24-3.32
Br 0.7379 0.7379 0.9860  1 Tl 3.19, 4 K 3.24-3.32
Br 0.7481 0.2519 0.5000  2 Tl 3.25, 3 K 3.27-3.33
Br 0.7488 0.7488 0.4954  2 K 3.26-3.36, 3 Tl 3.30
Br 0.7503 0.2497 0.0000  3 K 3.25-3.29, 3 Tl 3.30-3.33

---

Density functional theory data (PBE) for crystalline KTl2Br4 at its relaxed geometry.

Output
**Formation energy (no corrections)**: -0.8004 eV/atom
**Energy relative to the lowest polymorph listed for this composition**: 163 meV/atom
**Magnetization**: 0.0 μB/f.u.

a = 6.2344 Å, b = 6.2344 Å, c = 15.1623 Å
α = 90.00°, β = 90.00°, γ = 90.00°
Last column: nearest neighbours and their distance in Å.
Positions (direct):
K 0.0000 0.0000 0.0000  6 Br 3.12-3.25
K 0.5000 0.5000 0.5000  6 Br 3.12-3.25
Tl 0.0000 0.0000 0.3948  1 Br 2.73
Tl 0.0000 0.0000 0.6052  1 Br 2.73
Tl 0.5000 0.5000 0.1052  1 Br 2.73
Tl 0.5000 0.5000 0.8948  1 Br 2.73
Br 0.0000 0.0000 0.2145  1 Tl 2.73
Br 0.0000 0.0000 0.7855  1 Tl 2.73
Br 0.0000 0.5000 0.0000  2 K 3.12
Br 0.0000 0.5000 0.5000  2 K 3.12
Br 0.5000 0.0000 0.0000  2 K 3.12
Br 0.5000 0.0000 0.5000  2 K 3.12
Br 0.5000 0.5000 0.2855  1 Tl 2.73
Br 0.5000 0.5000 0.7145  1 Tl 2.73

---

Density functional theory data (PBE) for crystalline KTlBr2 at its relaxed geometry.

Output
**Formation energy (no corrections)**: -1.2809 eV/atom
**Energy relative to the lowest polymorph listed for this composition**: 31 meV/atom
**Magnetization**: 0.0 μB/f.u.

a = 4.6370 Å, b = 4.6370 Å, c = 24.5600 Å
α = 90.00°, β = 90.00°, γ = 120.00°
Last column: nearest neighbours and their distance in Å.
Positions (direct):
K 0.0000 0.0000 0.0000  6 Br 3.35-3.37
K 0.3333 0.6667 0.6667  6 Br 3.35-3.37
K 0.6667 0.3333 0.3333  6 Br 3.35-3.37
Tl 0.0000 0.0000 0.8319  6 Br 3.37-3.39
Tl 0.3333 0.6667 0.4986  6 Br 3.37-3.39
Tl 0.6667 0.3333 0.1652  6 Br 3.37-3.39
Br 0.0000 0.0000 0.2497  3 K 3.37, 3 Tl 3.39
Br 0.0000 0.0000 0.4151  3 K 3.35, 3 Tl 3.37
Br 0.3333 0.6667 0.0818  3 K 3.35, 3 Tl 3.37
Br 0.3333 0.6667 0.9164  3 K 3.37, 3 Tl 3.39
Br 0.6667 0.3333 0.5831  3 K 3.37, 3 Tl 3.39
Br 0.6667 0.3333 0.7485  3 K 3.35, 3 Tl 3.37

---

Density functional theory data (PBE) for crystalline KTl2Br4 at its relaxed geometry.

Output
**Formation energy (no corrections)**: -0.8931 eV/atom
**Energy relative to the lowest polymorph listed for this composition**: 71 meV/atom
**Magnetization**: 0.0 μB/f.u.

a = 7.8973 Å, b = 7.8973 Å, c = 5.3245 Å
α = 90.00°, β = 90.00°, γ = 90.00°
Last column: nearest neighbours and their distance in Å.
Positions (direct):
K 0.0000 0.0000 0.0000  4 Br 3.19